7 Smart Tips for Keeping Your Kitchen Organized

This is a guest post by Kate Trout of Maternity Glow
Let’s Talk About Tips for Keeping Your Kitchen Organized
If you’re anything like me, then your kitchen is the domain in your home.
For me, it’s a place where I have total control, total joy, and total comfort. It’s calm, clean, quaint, and ultra-organized. As a busy mom, I don’t have time for clutter, messes, junk drawers, or misplaced items. My kitchen is my sanctuary, and it can be your sanctuary, too. Allow me to share seven of my most favorite tips for keeping a kitchen organized.
~~~
(1)
Er2TlIn: optimized geometry, PBE-GGA.

a b c (Å): 5.303 5.303 5.303
angles (deg): 60.00 60.00 60.00
Positions (direct):
Er (0.250, 0.250, 0.250)
Er (0.750, 0.750, 0.750)
Tl (0.000, 0.000, 0.000)
In (0.500, 0.500, 0.500)

Output
E: -3.93 eV/atom
Mass density: 10.30 Mg/m³
ΔH_f (0 K): -0.37 eV per atom

=====

(2)
ErTmIn2: optimized geometry, PBE-GGA.

a b c (Å): 5.292 5.292 5.292
angles (deg): 60.00 60.00 60.00
Positions (direct):
Er (0.500, 0.500, 0.500)
Tm (0.000, 0.000, 0.000)
In (0.750, 0.750, 0.750)
In (0.250, 0.250, 0.250)

Output
E: -4.06 eV/atom
Mass density: 8.97 Mg/m³
ΔH_f (0 K): -0.42 eV per atom

=====

(3)
YErIn2: optimized geometry, PBE-GGA.

a b c (Å): 5.301 5.301 5.301
angles (deg): 60.00 60.00 60.00
Positions (direct):
Y (0.000, 0.000, 0.000)
In (0.250, 0.250, 0.250)
Er (0.500, 0.500, 0.500)
In (0.750, 0.750, 0.750)

Output
E: -4.60 eV/atom
Mass density: 7.66 Mg/m³
ΔH_f (0 K): -0.46 eV per atom

=====

(4)
ErZnIn: optimized geometry, PBE-GGA.

a b c (Å): 4.662 4.662 7.146
angles (deg): 90.00 90.00 120.00
Positions (direct):
Zn (0.667, 0.333, 0.750)
Zn (0.333, 0.667, 0.250)
Er (0.000, 0.000, 0.500)
In (0.333, 0.667, 0.750)
In (0.667, 0.333, 0.250)
Er (0.000, 0.000, 0.000)

Output
E: -3.27 eV/atom
Mass density: 8.58 Mg/m³
ΔH_f (0 K): -0.41 eV per atom

=====

(5)
Er4Ir: optimized geometry, PBE-GGA.

a b c (Å): 7.603 7.603 7.603
angles (deg): 60.00 60.00 60.00
Positions (direct):
Er (0.165, 0.612, 0.612)
Er (0.585, 0.138, 0.138)
Er (0.612, 0.612, 0.612)
Er (0.612, 0.165, 0.612)
Ir (0.750, 0.750, 0.750)
Er (0.612, 0.612, 0.165)
Er (0.138, 0.138, 0.585)
Ir (0.000, 0.000, 0.000)
Er (0.138, 0.138, 0.138)
Er (0.138, 0.585, 0.138)

Output
E: -5.32 eV/atom
Mass density: 9.20 Mg/m³
ΔH_f (0 K): 0.10 eV per atom

=====

(6)
Er5Ir3: optimized geometry, PBE-GGA.

a b c (Å): 10.796 10.796 6.334
angles (deg): 90.00 90.00 90.00
Positions (direct):
Er (0.912, 0.709, 0.122)
Ir (0.000, 0.500, 0.881)
Er (0.088, 0.291, 0.122)
Ir (0.846, 0.154, 0.250)
Ir (0.346, 0.346, 0.250)
Ir (0.500, 0.000, 0.619)
Ir (0.654, 0.654, 0.250)
Er (0.791, 0.412, 0.122)
Er (0.588, 0.209, 0.378)
Er (0.709, 0.912, 0.378)
Er (0.000, 0.000, 0.500)
Er (0.291, 0.088, 0.378)
Er (0.209, 0.412, 0.622)
Er (0.500, 0.500, 0.000)
Ir (0.000, 0.500, 0.381)
Er (0.412, 0.791, 0.378)
Ir (0.846, 0.846, 0.750)
Er (0.791, 0.588, 0.622)
Er (0.000, 0.000, 0.000)
Ir (0.154, 0.846, 0.250)
Er (0.412, 0.209, 0.878)
Er (0.500, 0.500, 0.500)
Er (0.291, 0.912, 0.878)
Ir (0.654, 0.346, 0.750)
Er (0.088, 0.709, 0.622)
Er (0.209, 0.588, 0.122)
Er (0.588, 0.791, 0.878)
Er (0.709, 0.088, 0.878)
Ir (0.154, 0.154, 0.750)
Ir (0.346, 0.654, 0.750)
Er (0.912, 0.291, 0.622)
Ir (0.500, 0.000, 0.119)

Output
E: -7.03 eV/atom
Excess energy over the best structure of this formula in the dataset: 0 meV per atom
Mass density: 12.71 Mg/m³
ΔH_f (0 K): -0.86 eV per atom

=====

(7)
ErIr2: optimized geometry, PBE-GGA.

a b c (Å): 5.342 5.342 5.342
angles (deg): 60.00 60.00 60.00
Positions (direct):
~~~
1. Take Full Advantage of Drawer Organizers
I used to have a junk drawer in my house. We’d literally toss anything and everything into it. From receipts, to paper clips, extra keys, and even a pens, it just seemed like the easy thing to do. But after cringing one day when it became filled to the brim, I picked up a basic drawer organizer.
It allowed me to keep all my “stuff” categorized and it made my life much easier. I then did this with my utensils, my snack drawer, and we even have a larger drawer specifically for baby items, like our bottle warmer. They even make large organizers that hold pots and pans with their pots in place. Thanks to these organizers, I know where everything is in my kitchen at a moment’s notice.
2. Color Coded Lids
I’m a big meal prep person, mainly because I have two small kids who take up a large chunk of my time. So, I have a lot of storage containers. These containers are organized in my fridge by color. Red lids represent veggies, blue lids represent leftover meals, and green lids are baby food for for my son, and so on. The colored lids make looking for what I want in the fridge a breeze, and I also tend to stack the same colors together too.
3. Create a Coffee Station
I love my coffee station for a number of reasons. First, it makes me feel as if I’m at a bed and breakfast! Next, all of my mugs are in one place, next to the coffee maker. I have air-tight canisters of coffee at the station, as well as napkins, stirrers, spoons, and to-go cups. I like how it feels super homey and my guests are able to serve themselves when they need a cup of Joe. With everything coffee related in one place, it minimizes traffic in the kitchen each morning when everyone is getting ready for their day, which is important because heavy kitchen traffic can lead to accidents.
Remember, if you have little ones running around, you want your kitchen to be a safe place just in case they enter the kitchen. I have a whole guide on creating a safe play area for your kids if you want to check out more.
4. Use Chalkboard Paint
Chalkboard paint is your friend! You can paint jars, Tupperware, and other food storage containers with a swipe or two of chalkboard paint. Once it dries, you can label them as needed so you can clearly see what’s in what. When you change what’s in the container, simply wipe it clean and re-label. You can also toss the unsightly snack bags and containers that hold all of your food items, and have a tidy looking pantry, filled with always fresh-tasting snacks.
5. Spice Rack
A spice rack is a non-negotiable in order to consider your kitchen “truly organized.” Whether you hang it up, or sit it on your countertop, you can ensure quick access to all of your spices when cooking. Put them in ABC order, and even consider placing them in clear jars. Why? It makes it easy to see which spices you are almost out of so you can do a refill or repurchase.
6. Go Magnetic
If you don’t have a magnetic strip near your oven or cutting boards, you’re missing out. These magnetic strips are great because you are able to keep your knives out of reach from little, curious hands. Plus, you don’t have to fumble around a big, bulky butcher’s block looking for the type of knife you need. They are all placed neatly in front of you and allow you to grab them in one quick swoop.
7. Hang a Dry Erase Board
The dry erase board in my kitchen is my brain! Not only do I jot little things down on it, like doctor’s appointments, or my to-do list around the house, I also list the items I am out of and need to pick up on my next grocery store excursion. I spend most of my time in the kitchen, so it makes sense to have all of these little reminders posted here. I also keep a stack of sticky notes and pens next to it, so I can create my grocery list and go.
An organized kitchen will change your life.
It will not only save you tons of time, but make your food items and pantry look ultra put together.
Hopefully, my seven tips and tricks will inspire and encourage you to reevaluate your current kitchen system and give it a makeover today.
- 7 Smart Tips for Keeping Your Kitchen Organized - September 16, 2016